**Material**
=====
The following is a DFT calculation (ωB97M-V with the def2-TZVPD basis set) of a gas-phase ion, C3H6N (charge +1).

```
10
Properties=species:S:1:pos:R:3:forces:R:3
C -1.231 -0.001 0.127 -0.5 3.4 3.4
N 0.081 0.159 -0.460 0.0 -2.0 -1.9
C 1.251 -0.697 -0.021 0.5 0.4 -0.6
C 1.329 0.555 0.229 -0.8 -2.1 -0.4
H -1.122 0.418 1.224 -0.6 -0.5 -2.1
H -1.913 0.633 -0.479 0.2 -0.5 0.7
H -1.620 -0.963 0.295 0.0 -1.6 -0.5
H -0.092 0.228 -1.484 1.3 0.5 0.7
H 1.651 -1.712 -0.185 -0.7 0.7 0.3
H 1.664 1.380 0.755 0.6 1.7 0.5
```
Positions in Å, forces in eV/Å.

Output
Orbital gap   12.48 eV
Net charge   +1
2S+1   1
HOMO energy   -16.843 eV
ΔE to the lowest compared entry with this formula, charge and spin   2.3531 eV
E   -172.2721 hartree
SMILES   C[NH+]1C=C1
Strongest force on any atom   4.843 eV/A


A cluster of 2 separate species, C3H5NO2 in total, computed with wB97M-V/def2-TZVPD.

Atoms and positions in Å:
C1 0.289 -1.045 -1.565
C2 -0.377 1.040 -0.490
O1 -0.739 2.153 -0.196
C3 -0.006 0.091 0.721
O2 0.364 -1.027 0.358
N1 -0.121 0.550 1.950
H1 1.005 -0.397 -2.053
H2 0.643 -2.062 -1.416
H3 -0.709 -0.985 -1.978
H4 -0.447 1.512 2.004
H5 0.089 0.023 2.784

Cartesian forces (eV/Å) of the 6 atoms listed first:
C 0.070 -0.248 -0.296
C -0.151 0.491 0.287
O 0.176 -0.554 -0.168
C 0.019 -0.041 0.229
O -0.084 0.229 0.104
=====

**To do**
Restate the material further above from the line with "1.651 -1.712" to the end with every line break kept.

**Solution**
H 1.651 -1.712 -0.185 -0.7 0.7 0.3
H 1.664 1.380 0.755 0.6 1.7 0.5
```
Positions in Å, forces in eV/Å.

Output
Orbital gap   12.48 eV
Net charge   +1
2S+1   1
HOMO energy   -16.843 eV
ΔE to the lowest compared entry with this formula, charge and spin   2.3531 eV
E   -172.2721 hartree
SMILES   C[NH+]1C=C1
Strongest force on any atom   4.843 eV/A


A cluster of 2 separate species, C3H5NO2 in total, computed with wB97M-V/def2-TZVPD.

Atoms and positions in Å:
C1 0.289 -1.045 -1.565
C2 -0.377 1.040 -0.490
O1 -0.739 2.153 -0.196
C3 -0.006 0.091 0.721
O2 0.364 -1.027 0.358
N1 -0.121 0.550 1.950
H1 1.005 -0.397 -2.053
H2 0.643 -2.062 -1.416
H3 -0.709 -0.985 -1.978
H4 -0.447 1.512 2.004
H5 0.089 0.023 2.784

Cartesian forces (eV/Å) of the 6 atoms listed first:
C 0.070 -0.248 -0.296
C -0.151 0.491 0.287
O 0.176 -0.554 -0.168
C 0.019 -0.041 0.229
O -0.084 0.229 0.104